Before going to learn this program first you know about what is a regular expression? and How you can create your pattern? That was very easy and interesting, you will practice daily you can easily understand the create custom pattern.
In python programming language we use the (re) package, that package will be used to create patterns easily, let star that
Regular expressions can be defined as the sequence of characters that are used to search for a pattern in a string. The module re provides the support to use regex in the python program. The re module throws an exception if there is some error while using the regular expression.
Regular Expression is widely used in the UNIX world.
Where regular expressions are exactly used?
Data mining, Data validations, NLP social media platforms, Bank activities and other operations.
Regex Functions:
S.No | Function | Description |
1 | match | This method matches the regex pattern in the string with the optional flag. It returns true if a match is found in the string otherwise it returns false. |
2 | findall | It returns a list that contains all the matches of a pattern in the string. |
3 | search | This method returns the match object if there is a match found in the string. |
4 | sub | Replace one or many matches in the string |
5 | split | .Returns a list in which the string has been split in each match. |
Pattern = “^[_A-Za-z0-9]+(\.[_A-Za-z0-9]+)*@[A-Za-z0-9]+(\.[A-Za-z0-9]+*(\.[A-Za-z]{2,4})$”
Program in python:(1)
import re #Import Package
def Check_MyEmail(My_Pattern): #Function Call
while True:
Email=input(“Enter the E-Mail : “)
if not re.match(My_Pattern,Email):
print(“your pattern not matched”)
elif not My_Pattern:
print(“Forgot to enter the pattern”)
print(“E-mail is veryfied!”)
Pattern = “^[_A-Za-z0-9]+(\.[_A-Za-z0-9]+)*@[A-Za-z0-9]+(\.[A-Za-z0-9]+)*(\.[A-Za-z]{2,4})$”
print(Check_MyEmail(Pattern)) #Function Call
Sample Output:
Test case 1:
Enter the E-Mail :
E-mail is verified!
Test case 2:
Enter the E-Mail:
E-mail is verified!
Test case 3:
Enter the E-Mail :
your pattern not matched
Program in python:(2)
# These data records were left in the article by mistake
/*
1.
This record from the Materials Project database describes a relaxed structure of HfGaCu. The functional is r2SCAN.

Computed properties:
**Total magnetic moment**: 0.0 μB/f.u.
**V**: 95.4 Å³ per cell
**ΔH_f (0 K)**: -0.425 eV per atom

Lattice parameters (Å, degrees): 4.179 4.179 6.305 90.00 90.00 120.00
Fractional positions:
Hf 0.000 0.000 0.000
Hf 0.000 0.000 0.500
Ga 0.333 0.667 0.250
Ga 0.667 0.333 0.750
Cu 0.333 0.667 0.750
Cu 0.667 0.333 0.250

=====

2.
This record from the Materials Project database describes a relaxed structure of Sr3Al2Ge4. The functional is r2SCAN.

Computed properties:
**Total magnetic moment**: 0.0 μB/f.u.
**V**: 221.0 Å³ per cell
**ΔH_f (0 K)**: -0.580 eV per atom

Lattice parameters (Å, degrees): 6.695 6.695 8.872 109.37 109.37 36.37
Fractional positions:
Sr 0.000 0.000 0.000
Sr 0.395 0.395 0.314
Sr 0.605 0.605 0.686
Al 0.295 0.295 0.649
Al 0.705 0.705 0.351
Ge 0.108 0.108 0.392
Ge 0.288 0.288 0.944
Ge 0.712 0.712 0.056
Ge 0.892 0.892 0.608

=====

3.
This record from the Materials Project database describes a relaxed structure of HoGa6Fe6. The functional is r2SCAN.

Computed properties:
**Total magnetic moment**: 13.1 μB/f.u.
**V**: 183.6 Å³ per cell
**ΔH_f (0 K)**: -0.282 eV per atom

Lattice parameters (Å, degrees): 6.554 6.554 6.554 135.10 98.82 97.95
Fractional positions:
Ho 0.000 0.000 0.000
Ga 0.187 0.687 0.500
Ga 0.333 0.000 0.333
Ga 0.345 0.345 0.000
Ga 0.655 0.655 0.000
Ga 0.667 0.000 0.667
Ga 0.813 0.313 0.500
Fe 0.000 0.000 0.500
Fe 0.000 0.500 0.000
Fe 0.242 0.500 0.742
Fe 0.500 0.000 0.000
Fe 0.500 0.500 0.500
Fe 0.758 0.500 0.258

=====

4.
This record from the Materials Project database describes a relaxed structure of TiFeO3. The functional is r2SCAN.

Computed properties:
**Total magnetic moment**: 4.0 μB/f.u.
**V**: 102.7 Å³ per cell
**ΔH_f (0 K)**: -2.547 eV per atom

Lattice parameters (Å, degrees): 5.443 5.443 5.443 55.72 55.72 55.72
Fractional positions:
Ti 0.150 0.150 0.150
Ti 0.850 0.850 0.850
Fe 0.351 0.351 0.351
Fe 0.649 0.649 0.649
O 0.057 0.768 0.434
O 0.232 0.566 0.943
O 0.434 0.057 0.768
O 0.566 0.943 0.232
O 0.768 0.434 0.057
O 0.943 0.232 0.566

=====

5.
This record from the Materials Project database describes a relaxed structure of Ca3Sn13Ir4. The functional is r2SCAN.

Computed properties:
**Total magnetic moment**: 0.0 μB/f.u.
**V**: 933.4 Å³ per cell
**ΔH_f (0 K)**: -0.449 eV per atom

Lattice parameters (Å, degrees): 9.773 9.773 9.773 90.00 90.00 90.00
Fractional positions:
Ca 0.000 0.250 0.500
Ca 0.000 0.750 0.500
Ca 0.250 0.500 0.000
Ca 0.500 0.000 0.250
Ca 0.500 0.000 0.750
Ca 0.750 0.500 0.000
Sn 0.000 0.000 0.000
Sn 0.000 0.303 0.152
Sn 0.000 0.303 0.848
Sn 0.000 0.697 0.152
Sn 0.000 0.697 0.848
Sn 0.152 0.000 0.303
Sn 0.152 0.000 0.697
Sn 0.197 0.500 0.348
Sn 0.197 0.500 0.652
Sn 0.303 0.152 0.000
Sn 0.303 0.848 0.000
Sn 0.348 0.197 0.500
Sn 0.348 0.803 0.500
Sn 0.500 0.348 0.197
Sn 0.500 0.348 0.803
Sn 0.500 0.500 0.500
Sn 0.500 0.652 0.197
Sn 0.500 0.652 0.803
*/
import re
def Check_MyEmail(My_Pattern):
while True:
Email=input(“Enter the E-Mail : “)
if re.match(My_Pattern,Email):
print(“E-mail is veryfied!”)
print(“Invalid Email! 🙁 “,Email)
Sample Output:
Test case 1:
Enter the E-Mail :
E-mail is verified!
Test case 2:
Enter the E-Mail :
Invalid Email! 🙁
In the next blog, We will explain how to create the pattern for complex e-mail patterns creation and verification? the purpose for each character.